**Work order**
Duplicate every line further below that contains the word "Se1".

**Material**
=====
(1)
The following is a computed X-ray diffraction stick pattern of Tm8Si3GeSe4. It was derived from a DFT-relaxed cell (PBE, Alexandria), using Cu Kα (weighted mean of Kα1 and Kα2).
No peak broadening, texture or thermal motion is included.

Top 8 peaks for 10° ≤ 2θ ≤ 90°, low angle first:
- 2θ = 26.9°, I = 32, hkl 2 0 2
- 2θ = 31.1°, I = 100, hkl 0 2 4
- 2θ = 44.3°, I = 36, hkl 2 0 8
- 2θ = 44.7°, I = 37, hkl 2 2 0
- 2θ = 55.4°, I = 19, hkl 4 0 4
- 2θ = 73.3°, I = 15, hkl 2 2 12
- 2θ = 73.8°, I = 17, hkl 2 4 4
- 2θ = 82.1°, I = 12, hkl 4 2 8

Cell and atoms:
```
data_Tm8Si3GeSe4
_symmetry_space_group_name_H-M 'R -3 m'
_symmetry_Int_Tables_number 166
_symmetry_space_group_name_Hall '-R 3 2"'
_cell_length_a 8.1165
_cell_length_b 8.1165
_cell_length_c 20.1040
_cell_angle_alpha 90.00
_cell_angle_beta 90.00
_cell_angle_gamma 120.00
loop_
_atom_site_label
_atom_site_type_symbol
_atom_site_fract_x
_atom_site_fract_y
_atom_site_fract_z
_atom_site_occupancy
Tm1 Tm 0.0000 0.0000 0.2446 1
Tm2 Tm 0.0010 0.5005 0.7552 1
Si1 Si 0.0000 0.5000 0.5000 1
Ge1 Ge 0.0000 0.0000 0.5000 1
Se1 Se 0.0000 0.0000 0.0000 1
Se2 Se 0.0000 0.5000 0.0000 1
```

(2)
The following is a computed X-ray diffraction stick pattern of Sm8Ge5Se. It was derived from a DFT-relaxed cell (PBE, Alexandria), using Cu Kα (weighted mean of Kα1 and Kα2).
No peak broadening, texture or thermal motion is included.

Top 8 peaks for 10° ≤ 2θ ≤ 90°, low angle first:
- 2θ = 28.0°, I = 15, hkl 2 0 2
- 2θ = 31.4°, I = 100, hkl 1 3 0
- 2θ = 37.3°, I = 61, hkl 3 2 1
- 2θ = 49.5°, I = 19, hkl 2 2 4
- 2θ = 51.7°, I = 34, hkl 1 4 3
- 2θ = 63.6°, I = 22, hkl 1 1 6
- 2θ = 67.3°, I = 14, hkl 1 4 5
- 2θ = 77.8°, I = 15, hkl 2 1 7

Cell and atoms:
```
data_Sm8Ge5Se
_symmetry_space_group_name_H-M 'I -4'
_symmetry_Int_Tables_number 82
_symmetry_space_group_name_Hall 'I -4'
_cell_length_a 9.0142
_cell_length_b 9.0142
_cell_length_c 9.0249
_cell_angle_alpha 90.00
_cell_angle_beta 90.00
_cell_angle_gamma 90.00
loop_
_atom_site_label
_atom_site_type_symbol
_atom_site_fract_x
_atom_site_fract_y
_atom_site_fract_z
_atom_site_occupancy
Sm1 Sm 0.0678 0.1853 0.1878 1
Sm2 Sm 0.0682 0.3176 0.5582 1
Ge1 Ge 0.0000 0.5000 0.2500 1
Ge2 Ge 0.1260 0.2510 0.8736 1
Se1 Se 0.0000 0.0000 0.5000 1
```

(3)
The following is a computed X-ray diffraction stick pattern of Sm7GeSe5. It was derived from a DFT-relaxed cell (PBE, Alexandria), using Cu Kα (weighted mean of Kα1 and Kα2).
No peak broadening, texture or thermal motion is included.

Top 8 peaks for 10° ≤ 2θ ≤ 90°, low angle first:
- 2θ = 28.6°, I = 78, hkl 2 0 7
- 2θ = 29.4°, I = 33, hkl 3 1 1
- 2θ = 30.1°, I = 100, hkl 3 1 2
- 2θ = 31.2°, I = 64, hkl 3 1 -3
- 2θ = 31.9°, I = 40, hkl 2 0 8
- 2θ = 40.0°, I = 38, hkl 1 1 9
- 2θ = 43.7°, I = 39, hkl 0 2 0
- 2θ = 43.9°, I = 34, hkl 5 1 5

Cell and atoms:
```
data_Sm7GeSe5
_symmetry_space_group_name_H-M 'C 1 m 1'
_symmetry_Int_Tables_number 8
_symmetry_space_group_name_Hall 'C -2y'
_cell_length_a 13.5884
_cell_length_b 4.1466
_cell_length_c 24.6176
_cell_angle_alpha 90.00
_cell_angle_beta 90.01
_cell_angle_gamma 90.00
loop_
_atom_site_label
_atom_site_type_symbol
_atom_site_fract_x
_atom_site_fract_y
_atom_site_fract_z
_atom_site_occupancy
Sm1 Sm 0.0000 0.0000 0.0000 1
Sm2 Sm 0.0000 0.0000 0.1380 1
Sm3 Sm 0.0559 0.5000 0.2813 1
Sm4 Sm 0.0556 0.5000 0.8568 1
Sm5 Sm 0.1023 0.0000 0.7024 1
Sm6 Sm 0.1030 0.0000 0.4354 1
Sm7 Sm 0.1590 0.5000 0.5690 1
Sm8 Sm 0.2298 0.5000 0.0690 1
Sm9 Sm 0.2861 0.0000 0.2026 1
Sm10 Sm 0.2860 0.0000 0.9355 1
Sm11 Sm 0.3333 0.5000 0.3568 1
Sm12 Sm 0.3328 0.5000 0.7813 1
Sm13 Sm 0.3890 0.0000 0.5001 1
Sm14 Sm 0.3885 0.0000 0.6380 1
Ge1 Ge 0.0037 0.0000 0.5692 1
Ge2 Ge 0.3851 0.0000 0.0690 1
Se1 Se 0.1415 0.5000 0.9633 1
Se2 Se 0.1416 0.5000 0.1747 1
Se3 Se 0.1942 0.0000 0.8190 1
Se4 Se 0.1946 0.0000 0.3190 1
Se5 Se 0.2470 0.5000 0.6748 1
Se6 Se 0.2475 0.5000 0.4633 1
Se7 Se 0.4178 0.5000 0.2469 1
Se8 Se 0.4175 0.5000 0.8911 1
Se9 Se 0.4714 0.0000 0.3912 1
Se10 Se 0.4709 0.0000 0.7469 1
```
=====

**Reply**
Se1 Se 0.0000 0.0000 0.0000 1
Se1 Se 0.0000 0.0000 0.5000 1
Se1 Se 0.1415 0.5000 0.9633 1